Chapter 753  

The creature was so big that they can't even see the entirety of its body.

They could see the horrifying silhouette behind the clouds, slowly descending and glaring down at them.

The beast has a round head, covered in crimson colored scales and while under belly. Two slit for eyes and a wide maw. Its forked tongue danced as it slowly peered down to look at them slowly.

"Mother Snake!!" Nina hissed in fright. Tori's eyes widened in shock too.

Nina and Tori couldn't believe their eyes. They've seen this creature before but only in books. A Mother Snake is Demonic Beast that could rival a God Beast. They hunt by constricting their prey not by poisoning them. Mother Snakes in particular can grow into planetary-sizes, meaning their length can allow them to wrap around the entire plane, possibly even biting their own tail.

Despite their sizes, Mother snakes are swift. According to records, before their targets can even realize that they were swallowed, they're already melting at the stomach of the beast.


It was plainly unbelievable for the twins to meet a Mother Snake in their life. The first time read records about it, they scoffed and thought that such a thing shouldn't be possible and its completely illogical for a such a creature to exist but now…there's no denying it.

There's a Mother Snake, alive and breathing in front of them.

And the old man just told them to distract it, what kind of nonsense is that?

"Well, don't just stand there." The old man said, waking them up from their stupor. "Distract it!"

"Are you for real Old Man!!?" Tori raged, "Distract this thing!? How? This would eat us whole in a blink of an eye!"

"You're going to fine, just distract it."


"No we aren't! We're going to die if that thing comes close to us! Are you not upholding your promise?" Nina was panicking as well.

"I am." The old man replied plainly. "I don't plan on letting you two die. So just distract it long enough so that I can grab the ingredient on the top of its head."

Nina and Tori were mortified. They really didn't want to do this but they're bound by the contract. The man said that he's upholding promise and won't let them die but honestly, the twins didn't know if they could trust the old man in this situation.

He's strong but against a God Beast? He doesn't stand a chance.

Still, the twins have no way of getting out of this. They have to follow his orders. Its either they will die from the snake or they will die for violating the contract.

In their panic, the twins decided to gather their energy in their weapons, prepared to attack the Mother Snake in any given moment when they heard the old man speaking.


"Ladies, I told you to distract it, not attack. Trust me, the moment you attack, you'll find yourself melting inside that thing's stomach, I won't be able to save you."

Nina and Tori froze as they looked at the old man in disbelief.In hindsight, the Old Man didn't say anything wrong. He indeed kept telling them to distract the snake, not attack it. It was them who came into the conclusion that the old was telling them to attack the snake which is not the case at all.

Still though, the problem is, how? How are they going to distract this massive snake?

"Nina? Any ideas?" Tori withdrew her weapon and asked her smarter sister.

"Well, fortunately or rather, unfortunately, the thing's just looking at us all this time for some reason." Nina stated, "If it saw us as hostiles, we'd probably be reduced to mere goo at this point. Al least we have that going on for us."

"Yeah but, how is that helping us?"

"It keeps us alive, that's how." Nina replied while rolling her eyes at her twin sister. "Anyways, now that I look at it closely, it doesn't look like it's angry due to out intrusion. If anything, it looks like it's curious about us. Maybe we can use that to our advantage."

"Curious?" Tori was puzzled, she looked at the massive snake and had bold idea. "Oh! I can see that! Hey, I think I have an idea."

Nina deadpanned as she murmured: "Oh dear…"

"What do you think will happen if I show my boobs to it?"


"Ow!" Tori clutched her head after Nina gave it a crisp smack.

"Take this seriously!"

"Hey! At least I'm cooperating!" Tori complained while pouting.

Nina shook her head. She sighed and looked at the snake. Meanwhile, Tori was thinking again. She was struck by a random idea so she asked:

"Hey, do you think it can understand us?"

Nina opened her mouth but no words came out, she has to admit, Tori's question was really thought-provoking. "…well, it is a God Beast. It is young, yes, but a God Beast nonetheless. It should possess some kind of intelligence."

The twins knew that Demonic Beast's intelligence increases the stronger they are. A God Beast should be capable of understand their speech patterns.

"Let's try Elven, yeah?" Tori convinced.

"Might as well." Nina nodded.magic

Tori cleared her throat and said: "Pardon our intrusion, we have no idea that this was your home."

"Indeed, Mother Snake. We were ignorant but it shouldn't happen again. May you please let us leave unharmed?" Nina asked.

The two of them were using the Elven Language to converse with the beast.


A deep rumble emerged from the beast. It opened it's maws and flicked its forked tongue once more.

"What did it say?" Tori asked Nina, unlike her, Tori can't translate raw Demonic Beast language.

"Something about 'familiar'…" Nina frowned.

*Hiss~!*"Huh? I don't get it…" Nina frowned.

"Why? What did it say?"

"It says that we have forgotten something." Nina replied.


"It said 'we used to play when we were kids'." Nina translated.

"Eh?" Tori frowned just like her sister. "But I don't recall playing with a snake though?"

"Me neither." Nina said.

"There we go…"

The twins were startled when they heard the old man's voice, they looked around as saw the old standing on top of the beasts head, holding a black flower.

They saw him jumping down and landing softly in front of them, he showed his is gums with a few teeth missing as he said:

"Well done, with the distraction, ladies." The Old Man said.

"Y-yeah…" the two of them replied.

Honestly, this situation was a bit weird. A few minutes ago the twins were shaking in fear because of Mother Snake, the next thing they knew they were trying to communicate with it and now, the old man just got what he needed.

They were expecting an explosive battle or heart-thumping action but there's none. It's kind of disappointing but at the same time relieving.

"What's the flower for anyways?" Tori asked, "Why did you need to go after all of this troublesome things just to get it?"

"A good question!" The old man chuckled, "Here, smell it and you'll understand."

The Old Man held out the flower and the twins leaned forward to smell it. The moment they did, they instantly felt severe headaches.

The twins collapsed on the ground, clutching their head in pain. Their disguise wore off, showing their true appearances.

Meanwhile, the Old Man looked at the snake and chuckled. The snake released a hiss and the old man replied:

"Well, those guys that did this to them thought they were clever. Unfortunately, their timing is bad."

The old man set the flower ablaze, reducing it to mere dusts. He then looked at the snake and beckoned…

"Come, it's time for us to return."

The snake nodded in understanding. The ground shook and the Mother Snake suddenly shrank in size. It wrapped itself around the old man's neck, turning into a scarf that is both crimson and white in color.

The old man pointed in front and a portal appeared before him. He made the twins float as he took them with him inside the portal.

The twins felt their minds spiraling. Numerous scenes flashed before their very eyes, causing them to be confused but also enlightened.

### These quantum chemistry results were left in the piece by mistake
┌──
# 1
ORCA calculation (ωB97M-V/def2-TZVPD) on a 11-piece molecular cluster, C46H76Cl8NO18 overall at a distorted geometry.

Structure (XYZ):
```
149
Properties=species:S:1:pos:R:3
C -0.95138 -1.48673 3.97240
C -0.46933 -0.32991 3.09909
C 0.00759 -0.76807 1.66083
N 0.66186 0.38318 0.90008
C 1.88083 1.06794 1.48835
C -0.42866 1.43749 0.64333
C -0.15607 1.98030 -0.73424
C 0.31613 0.74305 -1.49763
C 1.11066 -0.07058 -0.48652
H -1.34382 -1.03681 4.88436
H -0.08881 -2.04480 4.33658
H -1.76540 -1.98388 3.44484
H 0.43380 0.08498 3.54667
H -1.16342 0.50415 3.20238
H -0.83274 -1.24762 1.15886
H 0.76985 -1.54562 1.71056
H 1.63760 1.64617 2.37975
H 2.13404 1.89314 0.82275
H 2.72069 0.38477 1.61489
H -0.40067 2.20582 1.41598
H -1.45796 1.08239 0.59293
H 0.59929 2.76604 -0.74717
H -1.00713 2.40742 -1.26468
H 0.91223 0.99047 -2.37601
H -0.44627 0.04803 -1.84946
H 2.19100 -0.04645 -0.62930
H 0.78278 -1.09630 -0.65535
Cl 3.31163 -1.57186 -4.22077
C 2.55423 -1.07050 -5.77257
C 2.10851 0.37173 -5.81674
Cl 0.68354 0.78499 -4.83563
H 1.86367 -1.81296 -6.17254
H 3.44258 -1.08535 -6.40400
H 1.86784 0.58128 -6.85898
H 2.90923 0.98347 -5.40115
Cl 0.00394 2.78216 4.43490
C -0.57128 2.85268 6.10374
C 0.62011 2.79735 7.10683
Cl 0.06040 3.08455 8.79118
H -1.30976 2.05306 6.16164
H -1.06657 3.81957 6.19263
H 1.45995 3.45200 6.87404
H 1.18820 1.88176 7.27139
Cl 3.66452 2.14809 -1.83235
C 5.18424 1.59718 -2.47490
C 6.31102 2.65080 -2.55094
Cl 6.55084 3.60753 -1.09558
H 4.93430 1.30291 -3.49422
H 5.49254 0.68943 -1.95621
H 6.04595 3.28453 -3.39724
H 7.25366 2.14944 -2.77039
Cl 3.10014 -2.87912 0.00732
C 2.12639 -4.26073 -0.55635
C 2.42368 -4.52433 -2.04579
Cl 1.47317 -5.83059 -2.83062
H 1.06899 -4.04041 -0.40987
H 2.40738 -5.17154 -0.02761
H 3.45714 -4.85669 -2.14371
H 2.27837 -3.54592 -2.50372
C -7.47473 1.33035 -5.04211
O -6.82044 0.63085 -3.96979
C -7.14899 1.23741 -2.71164
C -6.41340 0.52609 -1.56613
O -4.96814 0.70710 -1.63707
C -4.30240 -0.09739 -2.57152
H -7.09042 2.35012 -5.06443
H -8.55757 1.35736 -4.92032
H -7.19151 0.74745 -5.91852
H -8.21840 1.17800 -2.50933
H -6.82804 2.27055 -2.57854
H -6.62065 -0.54393 -1.55191
H -6.59047 0.99900 -0.60016
H -4.54303 0.13558 -3.60879
H -4.51629 -1.16297 -2.48858
H -3.24085 0.06714 -2.38678
C 5.65167 -0.26307 0.79447
O 5.33084 -0.25656 2.15438
C 5.98546 0.64704 3.03319
C 5.53135 2.14569 3.08179
O 4.19995 2.29190 3.53293
C 3.82902 3.61600 3.88071
H 6.69853 -0.36421 0.50819
H 5.38371 0.69020 0.33885
H 5.06365 -1.06874 0.35490
H 7.05034 0.59376 2.80671
H 5.85964 0.18355 4.01169
H 5.56879 2.67492 2.12962
H 6.27001 2.65186 3.70329
H 2.79500 3.52956 4.21451
H 3.93331 4.31224 3.04856
H 4.37737 3.89347 4.78094
C -0.62897 -2.92345 -2.48429
O -1.27379 -2.54296 -1.26548
C -2.32909 -3.40416 -0.99859
C -2.67534 -3.41065 0.54044
O -1.49405 -3.53081 1.28828
C -1.38805 -4.84638 1.78593
H -1.34169 -3.05830 -3.29790
H -0.03011 -3.82939 -2.39079
H -0.02996 -2.05486 -2.75785
H -2.29065 -4.44288 -1.32673
H -3.28492 -3.11232 -1.43370
└──

Their memories were being jumbled. To their surprise, they were starting to recall things differently from how it actually happened. It was confusing at first, but the more they saw, the more they understood what was going on.

Now, what the snake said made total sense.

The twins can finally remember everything. Indeed, they have a playmate before. It was a snake that they loved and adored, it was their bodyguard and also their best friend. To think that it was actually a Mother Snake was unbelievable, even more so the fact that they completely forgotten about it.

Indeed, its presence should feel familiar to them, it's just that they have no idea. Their memories about the snake were sealed for whatever reason. But now, not only did they remember everything, they even knew who was responsible for it.

The moment they wake up from their slumber, there will be hell to pay. They have to make them understand that messing with Valorheart's was never and will never be, a good idea.
